+++
Record 1
Density functional theory data (PBE) for a geometry-optimized CsRhWI2 structure.

a b c (Å): 6.7803 6.7803 5.7836
angles (deg): 90.00 90.00 90.00
With the nearest neighbours (Å) after each atom.
Sites, in units of the cell vectors:
Cs (0.0000, 0.0000, 0.0000)  2 W 2.89
Rh (0.5000, 0.5000, 0.5000)  8 I 4.46, 4 W 4.79
W (0.0000, 0.0000, 0.5000)  2 Cs 2.89
I (0.0000, 0.5000, 0.0000)  2 Cs 3.39
I (0.5000, 0.0000, 0.0000)  2 Cs 3.39

The symmetry is P4/mmm, No. 123. For the uncorrected formation energy, the calculation gives 2.25 eV per atom. The value obtained for the total DFT energy (no corrections) is -2.604 eV/atom. The value obtained for the density of states at the Fermi level is 17.747 states/eV per cell. The calculated density comes out at 4.21 g/cm3.

---

Record 2
Density functional theory data (PBE) for a geometry-optimized AgP2Se structure.

a b c (Å): 7.1531 7.1531 7.1531
angles (deg): 133.52 133.52 67.84
With the nearest neighbours (Å) after each atom.
Sites, in units of the cell vectors:
Ag (0.0000, 0.0000, 0.0000)  4 P 2.47
Ag (0.7500, 0.2500, 0.5000)  4 P 2.47
P (0.1204, 0.6250, 0.9954)  2 Ag 2.47, 2 Se 2.50
P (0.3750, 0.3704, 0.4954)  2 Ag 2.47, 2 Se 2.50
P (0.6296, 0.1250, 0.0046)  2 Ag 2.47, 2 Se 2.50
P (0.8750, 0.8796, 0.5046)  2 Ag 2.47, 2 Se 2.50
Se (0.2500, 0.7500, 0.5000)  4 P 2.50
Se (0.5000, 0.5000, 0.0000)  4 P 2.50

The symmetry is I-42d, No. 122. For the uncorrected formation energy, the calculation gives 0.49 eV per atom. The value obtained for the total DFT energy (no corrections) is -3.802 eV/atom. The value obtained for the density of states at the Fermi level is 5.624 states/eV per cell. The calculated density comes out at 4.37 g/cm3.

---

Record 3
Density functional theory data (PBE) for a geometry-optimized TaSbPb2 structure.

a b c (Å): 8.3023 8.3023 8.3023
angles (deg): 132.96 132.96 68.72
With the nearest neighbours (Å) after each atom.
Sites, in units of the cell vectors:
Ta (0.0000, 0.0000, 0.0000)  4 Pb 2.78
Ta (0.7500, 0.2500, 0.5000)  4 Pb 2.78
Sb (0.2500, 0.7500, 0.5000)  4 Pb 3.03
Sb (0.5000, 0.5000, 0.0000)  4 Pb 3.03
Pb (0.0919, 0.6250, 0.9669)  2 Ta 2.78, 2 Sb 3.03
Pb (0.3750, 0.3419, 0.4669)  2 Ta 2.78, 2 Sb 3.03
Pb (0.6581, 0.1250, 0.0331)  2 Ta 2.78, 2 Sb 3.03
Pb (0.8750, 0.9081, 0.5331)  2 Ta 2.78, 2 Sb 3.03

The symmetry is I-42d, No. 122. For the uncorrected formation energy, the calculation gives 1.05 eV per atom. The value obtained for the total DFT energy (no corrections) is -4.793 eV/atom. The value obtained for the density of states at the Fermi level is 3.641 states/eV per cell. The calculated density comes out at 7.91 g/cm3.

---

Record 4
Density functional theory data (PBE) for a geometry-optimized LaPm2Ho7 structure.

a b c (Å): 6.1688 7.1351 8.0092
angles (deg): 76.96 75.09 73.58
With the nearest neighbours (Å) after each atom.
Sites, in units of the cell vectors:
La (0.0000, 0.0000, 0.0000)  10 Ho 3.57-3.59, 2 Pm 3.60
Pm (0.2025, 0.7971, 0.5994)  10 Ho 3.54-3.59, 1 La 3.60, 1 Pm 3.61
Pm (0.7975, 0.2029, 0.4006)  10 Ho 3.54-3.59, 1 La 3.60, 1 Pm 3.61
Ho (0.0000, 0.5000, 0.0000)  8 Ho 3.56-3.58, 2 Pm 3.57, 2 La 3.57
Ho (0.1992, 0.3017, 0.5996)  4 Pm 3.54-3.59, 7 Ho 3.56-3.59, 1 La 3.57
Ho (0.3999, 0.1009, 0.2005)  7 Ho 3.55-3.60, 3 Pm 3.56-3.58, 2 La 3.57
Ho (0.4019, 0.5978, 0.1997)  2 Pm 3.55-3.58, 9 Ho 3.55-3.59, 1 La 3.59
Ho (0.5981, 0.4022, 0.8003)  2 Pm 3.55-3.58, 9 Ho 3.55-3.59, 1 La 3.59
Ho (0.6001, 0.8991, 0.7995)  7 Ho 3.55-3.60, 3 Pm 3.56-3.58, 2 La 3.57
Ho (0.8008, 0.6983, 0.4004)  4 Pm 3.54-3.59, 7 Ho 3.56-3.59, 1 La 3.57

The symmetry is P-1, No. 2. For the formation energy, the calculation gives 0.02 eV/atom. The value obtained for the total DFT energy (no corrections) is -4.626 eV/atom. The value obtained for the density of states at the Fermi level is 14.205 states/eV per cell. The calculated density comes out at 8.16 g/cm3. The calculation puts the energy above the most stable polymorph in this dataset at 0.000 eV per atom.

---

Record 5
+++
It remains to repeat the calculation results further above word for word.
Record 1
Density functional theory data (PBE) for a geometry-optimized CsRhWI2 structure.

a b c (Å): 6.7803 6.7803 5.7836
angles (deg): 90.00 90.00 90.00
With the nearest neighbours (Å) after each atom.
Sites, in units of the cell vectors:
Cs (0.0000, 0.0000, 0.0000)  2 W 2.89
Rh (0.5000, 0.5000, 0.5000)  8 I 4.46, 4 W 4.79
W (0.0000, 0.0000, 0.5000)  2 Cs 2.89
I (0.0000, 0.5000, 0.0000)  2 Cs 3.39
I (0.5000, 0.0000, 0.0000)  2 Cs 3.39

The symmetry is P4/mmm, No. 123. For the uncorrected formation energy, the calculation gives 2.25 eV per atom. The value obtained for the total DFT energy (no corrections) is -2.604 eV/atom. The value obtained for the density of states at the Fermi level is 17.747 states/eV per cell. The calculated density comes out at 4.21 g/cm3.

---

Record 2
Density functional theory data (PBE) for a geometry-optimized AgP2Se structure.

a b c (Å): 7.1531 7.1531 7.1531
angles (deg): 133.52 133.52 67.84
With the nearest neighbours (Å) after each atom.
Sites, in units of the cell vectors:
Ag (0.0000, 0.0000, 0.0000)  4 P 2.47
Ag (0.7500, 0.2500, 0.5000)  4 P 2.47
P (0.1204, 0.6250, 0.9954)  2 Ag 2.47, 2 Se 2.50
P (0.3750, 0.3704, 0.4954)  2 Ag 2.47, 2 Se 2.50
P (0.6296, 0.1250, 0.0046)  2 Ag 2.47, 2 Se 2.50
P (0.8750, 0.8796, 0.5046)  2 Ag 2.47, 2 Se 2.50
Se (0.2500, 0.7500, 0.5000)  4 P 2.50
Se (0.5000, 0.5000, 0.0000)  4 P 2.50

The symmetry is I-42d, No. 122. For the uncorrected formation energy, the calculation gives 0.49 eV per atom. The value obtained for the total DFT energy (no corrections) is -3.802 eV/atom. The value obtained for the density of states at the Fermi level is 5.624 states/eV per cell. The calculated density comes out at 4.37 g/cm3.

---

Record 3
Density functional theory data (PBE) for a geometry-optimized TaSbPb2 structure.

a b c (Å): 8.3023 8.3023 8.3023
angles (deg): 132.96 132.96 68.72
With the nearest neighbours (Å) after each atom.
Sites, in units of the cell vectors:
Ta (0.0000, 0.0000, 0.0000)  4 Pb 2.78
Ta (0.7500, 0.2500, 0.5000)  4 Pb 2.78
Sb (0.2500, 0.7500, 0.5000)  4 Pb 3.03
Sb (0.5000, 0.5000, 0.0000)  4 Pb 3.03
Pb (0.0919, 0.6250, 0.9669)  2 Ta 2.78, 2 Sb 3.03
Pb (0.3750, 0.3419, 0.4669)  2 Ta 2.78, 2 Sb 3.03
Pb (0.6581, 0.1250, 0.0331)  2 Ta 2.78, 2 Sb 3.03
Pb (0.8750, 0.9081, 0.5331)  2 Ta 2.78, 2 Sb 3.03

The symmetry is I-42d, No. 122. For the uncorrected formation energy, the calculation gives 1.05 eV per atom. The value obtained for the total DFT energy (no corrections) is -4.793 eV/atom. The value obtained for the density of states at the Fermi level is 3.641 states/eV per cell. The calculated density comes out at 7.91 g/cm3.

---

Record 4
Density functional theory data (PBE) for a geometry-optimized LaPm2Ho7 structure.

a b c (Å): 6.1688 7.1351 8.0092
angles (deg): 76.96 75.09 73.58
With the nearest neighbours (Å) after each atom.
Sites, in units of the cell vectors:
La (0.0000, 0.0000, 0.0000)  10 Ho 3.57-3.59, 2 Pm 3.60
Pm (0.2025, 0.7971, 0.5994)  10 Ho 3.54-3.59, 1 La 3.60, 1 Pm 3.61
Pm (0.7975, 0.2029, 0.4006)  10 Ho 3.54-3.59, 1 La 3.60, 1 Pm 3.61
Ho (0.0000, 0.5000, 0.0000)  8 Ho 3.56-3.58, 2 Pm 3.57, 2 La 3.57
Ho (0.1992, 0.3017, 0.5996)  4 Pm 3.54-3.59, 7 Ho 3.56-3.59, 1 La 3.57
Ho (0.3999, 0.1009, 0.2005)  7 Ho 3.55-3.60, 3 Pm 3.56-3.58, 2 La 3.57
Ho (0.4019, 0.5978, 0.1997)  2 Pm 3.55-3.58, 9 Ho 3.55-3.59, 1 La 3.59
Ho (0.5981, 0.4022, 0.8003)  2 Pm 3.55-3.58, 9 Ho 3.55-3.59, 1 La 3.59
Ho (0.6001, 0.8991, 0.7995)  7 Ho 3.55-3.60, 3 Pm 3.56-3.58, 2 La 3.57
Ho (0.8008, 0.6983, 0.4004)  4 Pm 3.54-3.59, 7 Ho 3.56-3.59, 1 La 3.57

The symmetry is P-1, No. 2. For the formation energy, the calculation gives 0.02 eV/atom. The value obtained for the total DFT energy (no corrections) is -4.626 eV/atom. The value obtained for the density of states at the Fermi level is 14.205 states/eV per cell. The calculated density comes out at 8.16 g/cm3. The calculation puts the energy above the most stable polymorph in this dataset at 0.000 eV per atom.

---

Record 5